Contents >
<<<
Starting from a cell relaxed with PBE, the XRD peak list of MgSn3O7 was computed for copper Kα.
Neutral-atom scattering factors, no anomalous dispersion.

Crystal structure
```
MgSn3O7
1.0
10.2353 0.0000 0.0000
0.0000 10.3186 0.0000
0.0000 0.0000 5.2351
Mg Sn O
4 12 28
direct
0.1367 0.2500 0.1686
0.3633 0.7500 0.6686
0.6367 0.2500 0.3314
0.8633 0.7500 0.8314
0.1388 0.0160 0.6466
0.1388 0.4840 0.6466
0.1448 0.7500 0.1864
0.3552 0.2500 0.6864
0.3612 0.5160 0.1466
0.3612 0.9840 0.1466
0.6388 0.0160 0.8534
0.6388 0.4840 0.8534
0.6448 0.7500 0.3136
0.8552 0.2500 0.8136
0.8612 0.5160 0.3534
0.8612 0.9840 0.3534
0.0322 0.0840 0.3171
0.0322 0.4160 0.3171
0.0448 0.2500 0.8003
0.2194 0.6219 0.9268
0.2194 0.8781 0.9268
0.2439 0.6215 0.4251
0.2439 0.8785 0.4251
0.2561 0.1215 0.9251
0.2561 0.3785 0.9251
0.2806 0.1219 0.4268
0.2806 0.3781 0.4268
0.4552 0.7500 0.3003
0.4678 0.5840 0.8171
0.4678 0.9160 0.8171
0.5322 0.0840 0.1829
0.5322 0.4160 0.1829
0.5448 0.2500 0.6997
0.7194 0.6219 0.5732
0.7194 0.8781 0.5732
0.7439 0.6215 0.0749
0.7439 0.8785 0.0749
0.7561 0.1215 0.5749
0.7561 0.3785 0.5749
0.7806 0.1219 0.0732
0.7806 0.3781 0.0732
0.9552 0.7500 0.1997
0.9678 0.5840 0.6829
0.9678 0.9160 0.6829
```

Main lines, sorted by position (2θ from 15° to 90°):
| 2theta | d [Å] | I_rel |
| --- | --- | --- |
| 19.02 | 4.667 | 25 |
| 25.76 | 3.458 | 34 |
| 29.94 | 2.985 | 100 |
| 34.78 | 2.580 | 17 |
| 35.40 | 2.536 | 15 |
| 35.92 | 2.500 | 20 |
| 50.22 | 1.817 | 21 |
| 50.46 | 1.808 | 23 |
| 57.12 | 1.613 | 16 |
| 59.38 | 1.556 | 14 |

***

Starting from a cell relaxed with PBE, the XRD peak list of Mg2Sn2O5 was computed for copper Kα.
Neutral-atom scattering factors, no anomalous dispersion.

Crystal structure
```
Mg2Sn2O5
1.0
5.5544 0.0000 0.0000
0.0000 10.5418 0.0000
0.0000 0.0000 3.9601
Mg Sn O
4 4 10
direct
0.1397 0.1067 0.0000
0.3603 0.6067 0.0000
0.6397 0.3933 0.0000
0.8603 0.8933 0.0000
0.1582 0.3875 0.5000
0.3418 0.8875 0.5000
0.6582 0.1125 0.5000
0.8418 0.6125 0.5000
0.0000 0.0000 0.5000
0.2062 0.7023 0.5000
0.2321 0.9012 0.0000
0.2679 0.4012 0.0000
0.2938 0.2023 0.5000
0.5000 0.5000 0.5000
0.7062 0.7977 0.5000
0.7321 0.5988 0.0000
0.7679 0.0988 0.0000
0.7938 0.2977 0.5000
```

Main lines, sorted by position (2θ from 15° to 90°):
| 2theta | d [Å] | I_rel |
| --- | --- | --- |
| 22.45 | 3.960 | 76 |
| 23.26 | 3.823 | 100 |
| 28.96 | 3.083 | 50 |
| 32.55 | 2.751 | 100 |
| 33.36 | 2.686 | 31 |
| 34.02 | 2.635 | 47 |
| 41.44 | 2.179 | 41 |
| 45.83 | 1.980 | 37 |
| 47.62 | 1.910 | 34 |
| 55.48 | 1.656 | 37 |

***

Starting from a cell relaxed with PBE, the XRD peak list of Mg2SnO4 was computed for copper Kα.
Neutral-atom scattering factors, no anomalous dispersion.

Crystal structure
```
Mg2SnO4
1.0
0.0000 4.3399 4.3399
4.3399 0.0000 4.3399
4.3399 4.3399 0.0000
Mg Sn O
4 2 8
direct
0.0000 0.0000 0.0000
0.0000 0.0000 0.5000
0.0000 0.5000 0.0000
0.5000 0.0000 0.0000
0.3750 0.3750 0.3750
0.6250 0.6250 0.6250
0.2268 0.7577 0.7577
0.2423 0.2423 0.2423
0.2423 0.2423 0.7732
0.2423 0.7732 0.2423
0.7577 0.2268 0.7577
0.7577 0.7577 0.2268
0.7577 0.7577 0.7577
0.7732 0.2423 0.2423
```

Main lines, sorted by position (2θ from 15° to 90°):
| 2theta | d [Å] | I_rel |
| --- | --- | --- |
| 17.70 | 5.011 | 39 |
| 29.10 | 3.069 | 94 |
| 34.26 | 2.617 | 100 |
| 45.55 | 1.991 | 17 |
| 51.58 | 1.772 | 39 |
| 54.97 | 1.670 | 39 |
| 60.32 | 1.534 | 41 |
| 68.35 | 1.372 | 17 |
| 83.31 | 1.160 | 22 |
| 86.03 | 1.130 | 22 |

***

Starting from a cell relaxed with PBE, the XRD peak list of MgSn2O5 was computed for copper Kα.
Neutral-atom scattering factors, no anomalous dispersion.

Crystal structure
```
MgSn2O5
1.0
1.9983 -5.2385 0.0000
1.9983 5.2385 0.0000
0.0000 0.0000 10.3537
Mg Sn O
2 4 10
direct
0.1844 0.8156 0.7500
0.8156 0.1844 0.2500
0.1361 0.8639 0.0667
0.1361 0.8639 0.4333
0.8639 0.1361 0.5667
0.8639 0.1361 0.9333
0.0507 0.9493 0.6145
0.0507 0.9493 0.8855
0.2278 0.7722 0.2500
0.3030 0.6970 0.5662
0.3030 0.6970 0.9338
0.6970 0.3030 0.0662
0.6970 0.3030 0.4338
>>>
To do >
Please count the lines above that contain the word "no" and give the number alone.
Solution >
4